# Listing
=====
1.
# Pm2NdAl2Ag2 | Alexandria | PBE | optimized geometry
# symmetry	R-3m, No. 166
# total magnetic moment	0.0	μB/f.u.
# V	25.18	A^3/atom
# energy of formation from the pure elements	-286	meV/atom
data_Pm2NdAl2Ag2
_space_group_name_H-M_alt 'P 1'
_space_group_IT_number 1
_cell_length_a 4.7170
_cell_length_b 4.7170
_cell_length_c 9.5436
_cell_angle_alpha 75.69
_cell_angle_beta 75.69
_cell_angle_gamma 60.00
loop_
_space_group_symop_operation_xyz
'x,y,z'
loop_
_atom_site_label
_atom_site_type_symbol
_atom_site_fract_x
_atom_site_fract_y
_atom_site_fract_z
Al1 Al 0.2611 0.2611 0.2168
Al2 Al 0.7389 0.7389 0.7832
Ag1 Ag 0.3999 0.3999 0.8002
Ag2 Ag 0.6001 0.6001 0.1998
Nd1 Nd 0.0000 0.0000 0.0000
Pm1 Pm 0.1272 0.1272 0.6183
Pm2 Pm 0.8728 0.8728 0.3817

2.
# PrNd2Al2Ag2 | Alexandria | PBE | optimized geometry
# symmetry	R-3m, No. 166
# total magnetic moment	0.0	μB/f.u.
# V	25.59	A^3/atom
# energy of formation from the pure elements	-283	meV/atom
data_PrNd2Al2Ag2
_space_group_name_H-M_alt 'P 1'
_space_group_IT_number 1
_cell_length_a 4.7321
_cell_length_b 4.7321
_cell_length_c 9.6316
_cell_angle_alpha 75.78
_cell_angle_beta 75.78
_cell_angle_gamma 60.00
loop_
_space_group_symop_operation_xyz
'x,y,z'
loop_
_atom_site_label
_atom_site_type_symbol
_atom_site_fract_x
_atom_site_fract_y
_atom_site_fract_z
Ag1 Ag 0.5999 0.5999 0.2002
Ag2 Ag 0.4001 0.4001 0.7998
Al1 Al 0.7389 0.7389 0.7834
Al2 Al 0.2611 0.2611 0.2166
Nd1 Nd 0.8725 0.8725 0.3824
Nd2 Nd 0.1275 0.1275 0.6176
Pr1 Pr 0.0000 0.0000 0.0000

3.
# NdAl3AgPt | Alexandria | PBE | optimized geometry
# symmetry	Cmcm, No. 63
# total magnetic moment	0.0	μB/f.u.
# V	20.00	A^3/atom
# energy of formation from the pure elements	-481	meV/atom
data_NdAl3AgPt
_space_group_name_H-M_alt 'P 1'
_space_group_IT_number 1
_cell_length_a 5.9837
_cell_length_b 5.9677
_cell_length_c 7.3526
_cell_angle_alpha 113.94
_cell_angle_beta 90.00
_cell_angle_gamma 90.00
loop_
_space_group_symop_operation_xyz
'x,y,z'
loop_
_atom_site_label
_atom_site_type_symbol
_atom_site_fract_x
_atom_site_fract_y
_atom_site_fract_z
Al1 Al 0.5000 0.7198 0.0000
Al2 Al 0.0000 0.7198 0.0000
Al3 Al 0.2500 0.1292 0.2584
Al4 Al 0.7500 0.8708 0.7416
Al5 Al 0.0000 0.2802 0.0000
Al6 Al 0.5000 0.2802 0.0000
Nd1 Nd 0.7500 0.2963 0.5927
Nd2 Nd 0.2500 0.7037 0.4073
Ag1 Ag 0.7500 0.6607 0.3214
Ag2 Ag 0.2500 0.3393 0.6786
Pt1 Pt 0.2500 0.9135 0.8270
Pt2 Pt 0.7500 0.0865 0.1730

* * * * *

## TiNbW2F (GGA+U)

Data for TiNbW2F after structural relaxation.

Values from the calculation:
Its energy above the most stable polymorph in this dataset is 0.000 eV/atom. The calculation puts the magnetization at 1.89 Bohr magnetons per cell. The value obtained for the final energy is -6.120 eV/atom. Its density of states at the Fermi level is 0.8726 states/eV per atom. As for the density: 10.5 g/cm3.

abc: 4.4304 4.4304 4.2555
angles: 90.00 90.00 90.00
Closest atoms and distances in Å follow each position.
Space group P4/mmm (No. 123)
Asymmetric unit:
Ti (0.0000, 0.0000, 0.0000)  8 W 3.07, 4 Nb 3.13
Nb (0.5000, 0.5000, 0.0000)  2 F 2.13
W (0.0000, 0.5000, 0.5000)  2 F 2.22
F (0.5000, 0.5000, 0.5000)  2 Nb 2.13, 4 W 2.22

* * * * *

VSbMo2Pd (PBE, optimized geometry); space-group type = P4/mmm (123); energy relative to the elements, uncorrected = 1.130 eV/atom; Fermi-level density of states = 6.6 states/eV/cell
1.0
-1.350 -0.704 4.217
3.256 -3.686 0.427
3.088 2.898 1.472
Sb Mo Pd V
1 2 1 1
Direct
0.000 0.500 0.000 Sb
0.000 0.000 0.500 Mo
0.500 0.000 0.000 Mo
0.500 0.500 0.500 Pd
0.000 0.000 0.000 V

* * * * *

Below is crystalline Cs5KS at its relaxed geometry, with properties calculated at the PBE-GGA level.

## Properties
Magnetization in μB per formula unit: 0.0
Formation energy (no corrections) in eV per atom: -0.404
VASP energy in eV/atom: -1.760

```
Cs5KS
1.0
9.954 -0.805 -2.855
-4.739 9.237 -0.319
-1.603 -0.022 14.378
Cs K S
10 2 2
Cartesian
2.538 7.894 -1.269 Cs
-3.244 8.238 7.331 Cs
3.861 2.868 6.228 Cs
2.089 -0.205 2.880 Cs
3.895 5.119 10.774 Cs
=====
# Brief
The reader should print the part of the contents above that starts with the line with "_cell_angle_alpha 75.69" and stops after the one with "0.1272 0.1272".
# Done
_cell_angle_alpha 75.69
_cell_angle_beta 75.69
_cell_angle_gamma 60.00
loop_
_space_group_symop_operation_xyz
'x,y,z'
loop_
_atom_site_label
_atom_site_type_symbol
_atom_site_fract_x
_atom_site_fract_y
_atom_site_fract_z
Al1 Al 0.2611 0.2611 0.2168
Al2 Al 0.7389 0.7389 0.7832
Ag1 Ag 0.3999 0.3999 0.8002
Ag2 Ag 0.6001 0.6001 0.1998
Nd1 Nd 0.0000 0.0000 0.0000
Pm1 Pm 0.1272 0.1272 0.6183